Round the Sphere Again: Recommended for Listening

Carson and Yarbrough on Complementarianism
[Next to the entry, the page also holds records of crystals]
(1)
A relaxed HoNiPH crystal. Source: Alexandria, functional PBE.

Unit cell a=3.809 b=3.809 c=7.146 alpha=90.00 beta=90.00 gamma=90.00
Positions (direct):
Ho  0.500  0.000  0.669
Ho  0.000  0.500  0.331
Ni  0.500  0.500  0.000
Ni  0.000  0.000  0.000
P  0.000  0.500  0.825
P  0.500  0.000  0.175
H  0.000  0.000  0.500
H  0.500  0.500  0.500

Summary:
SG: P4/nmm
VASP energy (eV/atom): -5.7351


(2)
A relaxed LiInPd3 crystal. Source: Alexandria, functional PBE.

Unit cell a=4.313 b=4.313 c=4.313 alpha=90.00 beta=90.00 gamma=90.00
Positions (direct):
Li  0.000  0.000  0.000
Pd  0.000  0.500  0.000
Pd  0.000  0.000  0.500
Pd  0.500  0.000  0.000
In  0.500  0.500  0.500

Summary:
SG: Pm-3m
Energy above the most stable polymorph in this dataset (kJ/mol of formula units): 209
Energy relative to the elements (eV per atom): -0.08


(3)
A relaxed ScCuIr2 crystal. Source: Alexandria, functional PBE.

Unit cell a=5.273 b=5.273 c=4.632 alpha=63.43 beta=63.43 gamma=32.01
Positions (direct):
Cu  0.259  0.259  0.314
Ir  0.003  0.003  0.914
Ir  0.741  0.741  0.843
Sc  0.498  0.498  0.429

Summary:
SG: Cm
Energy relative to the elements (eV per atom): -0.38


(4)
A relaxed Ba3Nd4O9 crystal. Source: Alexandria, functional PBE.

Unit cell a=6.332 b=6.332 c=9.635 alpha=70.82 beta=70.82 gamma=60.00
Positions (direct):
Ba  0.003  0.003  0.992
Ba  0.833  0.833  0.502
Ba  0.429  0.429  0.712
Nd  0.573  0.573  0.282
Nd  0.135  0.135  0.596
Nd  0.262  0.262  0.213
Nd  0.699  0.699  0.903
O  0.951  0.387  0.088
O  0.574  0.951  0.088
O  0.387  0.574  0.088
O  0.871  0.272  0.423
O  0.435  0.871  0.423
O  0.272  0.435  0.423
O  0.829  0.420  0.749
O  0.420  0.002  0.749
O  0.002  0.829  0.749

Summary:
E_form (uncorrected) (kJ/mol of formula units): -4632
SG: R3


(5)
A relaxed LaSm2Dy3Y6 crystal. Source: Alexandria, functional PBE.

Unit cell a=6.220 b=6.220 c=11.861 alpha=95.00 beta=95.00 gamma=119.97
Positions (direct):
La  0.000  0.000  0.000
Sm  0.333  0.667  0.000
Sm  0.667  0.333  0.000
Dy  0.167  0.833  0.500
Dy  0.833  0.167  0.500
Dy  0.500  0.500  0.500
Y  0.915  0.581  0.747
Y  0.750  0.750  0.253
Y  0.085  0.419  0.253
Y  0.581  0.915  0.747
Y  0.250  0.250  0.747
Y  0.419  0.085  0.253

Summary:
SG: C2/m
Energy relative to the elements (eV per atom): 0.02


(6)
A relaxed CuRhBr2 crystal. Source: Alexandria, functional PBE.

Unit cell a=6.371 b=6.371 c=3.472 alpha=80.33 beta=80.33 gamma=36.36
Positions (direct):
Br  0.044  0.044  0.242
Br  0.750  0.750  0.639
Cu  0.440  0.440  0.493
Rh  0.266  0.266  0.125

Summary:
E_form (uncorrected) (kJ/mol of formula units): 78
SG: Cm
Energy above the most stable polymorph in this dataset (kJ/mol of formula units): 82

~~~~~

[1]
# CaLa3Pm6Dy2 (PBE, relaxed)
# ρ	6.5	Mg/m³
# spin magnetization	0.00	μB per atom
# total energy	-4.496	eV per atom
# calculated formation energy	0.04	eV per atom
data_CaLa3Pm6Dy2
_space_group_name_H-M_alt 'C 1 2/m 1'
_space_group_IT_number 12
_cell_length_a 6.375
_cell_length_b 11.056
In this case, I’m breaking my own rule: I’m linking to these before I’ve listened to them because the topic is so timely. For this year’s Evangelical Free Church Theology Conference, the topic was Understanding the Complementarian Position: Considering Implications and Exploring Practices in the Home and the Local Church, and the speakers were Don Carson and Bob Yarbrough.
- The Cultural and Ecclesiological Landscape (Yarbrough)
- Hermeneutics: A Biblical Framework (Yarbrough)
- Creationand Re-creation - Male and Female in the Image of God, The Fall and Redemption (Carson)
- Family - Husbands and Wives, Love and Submission, Christ and the Church (Carson)
- Church- Teaching/Authority in Context of I Timothy 2 (Carson)
- Leadership in the Local Church and a Theology of Pastoral Care (Yarbrough)
- Culture and Hermeneutics (Panel Discussion)
**The entry is interrupted by records of crystals**
Entry 1:
## CrPb2W (GGA-PBE)

Data for a relaxed CrPb2W crystal.

Results
Energy of formation = 1.86 eV/f.u.

Lattice parameters (Å, degrees): 3.2123 3.2102 9.1519 70.34 90.00 90.00
Closest atoms and distances in Å follow each position.
Element x y z (fractional)
Cr 0.5000 0.8096 0.6928  4 W 2.52-2.53
Pb 0.0000 0.0818 0.9310  4 Cr 3.06, 1 W 3.15, 4 Pb 3.21
Pb 0.5000 0.1754 0.3112  4 W 3.15, 4 Pb 3.21, 1 Cr 3.29
W 0.0000 0.4332 0.5650  4 Cr 2.52-2.53

Entry 2:
## CrPb2W (GGA-PBE)

Data for a relaxed CrPb2W crystal.

Results
Energy of formation = 4.09 eV/f.u.

Lattice parameters (Å, degrees): 5.2843 5.2843 5.2843 136.98 122.69 74.26
Closest atoms and distances in Å follow each position.
Element x y z (fractional)
Cr 0.2500 0.7500 0.5000  4 Pb 2.81
Pb 0.0084 0.0084 0.0000  2 Cr 2.81, 2 W 2.91
Pb 0.4916 0.4916 0.0000  2 Cr 2.81, 2 W 2.91
W 0.7500 0.2500 0.5000  8 Pb 2.91-3.25, 4 Cr 3.19

Entry 3:
## CrPbW4 (GGA-PBE)

Data for a relaxed CrPbW4 crystal.

Results
Energy of formation = 4.77 eV/f.u.

Lattice parameters (Å, degrees): 5.3521 5.3521 5.3521 60.00 60.00 60.00
Closest atoms and distances in Å follow each position.
Element x y z (fractional)
Cr 0.2500 0.2500 0.2500  12 W 3.14, 4 Pb 3.28
Pb 0.0000 0.0000 0.0000  12 W 3.14, 4 Cr 3.28
W 0.6253 0.6253 0.1242  6 W 2.67-2.68
W 0.6253 0.1242 0.6253  6 W 2.67-2.68
W 0.6253 0.6253 0.6253  6 W 2.67-2.68
W 0.1242 0.6253 0.6253  6 W 2.67-2.68

Entry 4:
## CrPbW2 (GGA-PBE)

Data for a relaxed CrPbW2 crystal.

Results
Energy of formation = 3.65 eV/f.u.

Lattice parameters (Å, degrees): 5.0741 5.4725 2.9126 77.82 83.17 115.59
Closest atoms and distances in Å follow each position.
Element x y z (fractional)
Cr 0.0000 0.5000 0.5000  4 Pb 2.77-3.07, 4 W 2.82, 2 Cr 2.91
Pb 0.5000 0.5000 0.0000  4 Cr 2.77-3.07, 4 W 2.82, 2 Pb 2.91
W 0.0000 0.0000 0.0000  6 W 2.77-3.07, 2 Cr 2.82, 2 Pb 2.82
W 0.5000 0.0000 0.5000  6 W 2.77-3.07, 2 Pb 2.82, 2 Cr 2.82

Entry 5:
## CrPb2W (GGA-PBE)

Data for a relaxed CrPb2W crystal.

Results
Energy of formation = 4.14 eV/f.u.

Lattice parameters (Å, degrees): 3.1757 3.1757 9.0267 90.00 90.00 111.65
Closest atoms and distances in Å follow each position.
Element x y z (fractional)
Cr 0.5000 0.5000 0.7500  4 Pb 2.86, 4 Cr 3.18
Pb 0.0000 0.0000 0.9972  2 Cr 2.86, 2 W 2.90, 4 Pb 3.18
Pb 0.0000 0.0000 0.5028  2 Cr 2.86, 2 W 2.90, 4 Pb 3.18
W 0.5000 0.5000 0.2500  4 Pb 2.90, 4 W 3.18

Entry 6:
## CrPbW2 (GGA-PBE)

Data for a relaxed CrPbW2 crystal.

Results
Energy of formation = 3.12 eV/f.u.

Lattice parameters (Å, degrees): 3.0610 3.6122 6.5626 90.00 90.00 90.00
Closest atoms and distances in Å follow each position.
Element x y z (fractional)
Cr 0.5000 0.5000 0.2500  8 W 2.66
Pb 0.5000 0.5000 0.7500  2 Pb 3.06, 8 W 3.14, 2 Cr 3.28
W 0.0000 0.0000 0.0652  1 W 2.42, 4 Cr 2.66
W 0.0000 0.0000 0.4348  1 W 2.42, 4 Cr 2.66

Entry 7:
## Cr4PbW (GGA-PBE)

Data for a relaxed Cr4PbW crystal.

Results
Energy of formation = 2.44 eV/f.u.
**End of the records of crystals**
- Equal in Essence and Dignity, Distinction in Roles: The Home (Panel Discussion)
- Full Use of Gifts within God’s Ordained Structure: The Church (Panel Discussion)
Carson on Revelation
Jeremy Pierce has organized the online audio material on Revelation by D. A. Carson, listing them all in chronological order (Parableman). I’ve listened to a surprising number of these; Carson expositing is always exciting.
Kruger on Canon
********
Entry 1:
An optimized crystal structure of KBaZn. Source: Alexandria via LeMat-Bulk, functional PBE.

Cell lengths 4.6740, 4.6740, 8.3438 Å; angles 90.00, 90.00, 120.00 degrees
Fractional coordinates of all 3 atoms:
K 0.0000 0.0000 0.0000
Ba 0.3333 0.6667 0.5064
Zn 0.6667 0.3333 0.2743

## Properties
Energy above the most stable polymorph in this dataset in eV/atom: 0.181
Space-group type: P3m1 (156)


Entry 2:
An optimized crystal structure of VCuPt. Source: Alexandria via LeMat-Bulk, functional PBE.

Cell lengths 4.6043, 4.6043, 4.6043 Å; angles 145.70, 131.45, 60.79 degrees
Fractional coordinates of all 3 atoms:
V 0.0000 0.0000 0.0000
Cu 0.3349 0.3349 0.0000
Pt 0.6662 0.6662 0.0000

## Properties
Energy above the most stable polymorph in this dataset in eV/atom: 0.000
Space-group type: Imm2 (44)


Entry 3:
An optimized crystal structure of Al2H12Se3O15. Source: Alexandria via LeMat-Bulk, functional PBE.

Cell lengths 8.8485, 8.8485, 10.9709 Å; angles 90.00, 90.00, 120.00 degrees
Fractional coordinates of all 64 atoms:
Al 0.3333 0.6667 0.0326
Al 0.3333 0.6667 0.4674
Al 0.6667 0.3333 0.5326
Al 0.6667 0.3333 0.9674
H 0.0580 0.4773 0.5939
H 0.0580 0.4773 0.9061
H 0.2030 0.4242 0.6362
H 0.2030 0.4242 0.8638
H 0.2213 0.7970 0.6362
H 0.2213 0.7970 0.8638
H 0.4193 0.9420 0.5939
H 0.4193 0.9420 0.9061
H 0.4242 0.2030 0.1362
H 0.4242 0.2030 0.3638
H 0.4773 0.0580 0.0939
H 0.4773 0.0580 0.4061
H 0.5227 0.5807 0.5939
H 0.5227 0.5807 0.9061
H 0.5758 0.7787 0.6362
H 0.5758 0.7787 0.8638
H 0.5807 0.5227 0.0939
H 0.5807 0.5227 0.4061
H 0.7787 0.5758 0.1362
H 0.7787 0.5758 0.3638
H 0.7970 0.2213 0.1362
H 0.7970 0.2213 0.3638
H 0.9420 0.4193 0.0939
H 0.9420 0.4193 0.4061
Se 0.1200 0.7339 0.2500
Se 0.2661 0.3861 0.2500
Se 0.3861 0.2661 0.7500
Se 0.6139 0.8800 0.2500
Se 0.7339 0.1200 0.7500
Se 0.8800 0.6139 0.7500
O 0.0964 0.7619 0.7500
O 0.1303 0.6114 0.1276
O 0.1303 0.6114 0.3724
O 0.1680 0.4797 0.5693
O 0.1680 0.4797 0.9307
O 0.2381 0.3345 0.7500
O 0.3117 0.8320 0.5693
O 0.3117 0.8320 0.9307
O 0.3345 0.2381 0.2500
O 0.3886 0.5189 0.1276
O 0.3886 0.5189 0.3724
O 0.4797 0.1680 0.0693
O 0.4797 0.1680 0.4307
O 0.4811 0.8697 0.1276
O 0.4811 0.8697 0.3724
O 0.5189 0.3886 0.6276
O 0.5189 0.3886 0.8724
O 0.5203 0.6883 0.5693
O 0.5203 0.6883 0.9307
O 0.6114 0.1303 0.6276
O 0.6114 0.1303 0.8724
O 0.6655 0.9036 0.7500
O 0.6883 0.5203 0.0693
O 0.6883 0.5203 0.4307
O 0.7619 0.0964 0.2500
O 0.8320 0.3117 0.0693
O 0.8320 0.3117 0.4307
O 0.8697 0.4811 0.6276
O 0.8697 0.4811 0.8724
O 0.9036 0.6655 0.2500

## Properties
Energy above the most stable polymorph in this dataset in eV/atom: 0.000
Space-group type: P-62c (190)


Entry 4:
An optimized crystal structure of ZrTlRe. Source: Alexandria via LeMat-Bulk, functional PBE.

Cell lengths 4.8200, 4.8200, 2.9273 Å; angles 90.00, 90.00, 120.00 degrees
Fractional coordinates of all 3 atoms:
Zr 0.0000 0.0000 0.0000
Tl 0.6667 0.3333 0.5486
Re 0.3333 0.6667 0.3054

## Properties
********
I’m currently 3/4 of the way through these Kistemaker Lectures (RTS-Orlando, March 2012) on the Biblical Canon—what it means and how it came to be—by Michael Kruger. This is an issue that never goes away. Listen to these talks so you’ll be able to answer questions and correct misconceptions.
- The Definition of ‘Canon’: Exclusive or Multi-Dimensional?
- The Origins of Canon: Was the Idea of a New Testament a Late Ecclesiastical Development?
- The Artifacts of Canon: Manuscripts as a Window into the Development of the New Testament
- The Messiness of the Canon: Do Disagreements Amongst Early Christians Pose a Threat to Our Belief in the New Testament?
Reader Comments (4)
These all look so good. I've been looking for something to listen to while I quilt in the afternoons.
I've started listening to the ECFA conference. I'm up to Dr. Carson's 3rd talk. Very good so far as they go back to a scriptural foundation rather than a cultural one. The 1st message has some audio problems (at least the file I downloaded) but it does improve.
If anyone is interested in learning better bible study, D. A. Carson provides wonderful examples of exposition in the 7 volumes included in this collection. You can pre-order it for a great price from Logos.
The Select Works of D. A. Carson (7 vols.)
Didn't have that Kruger stuff. Thanks, Rebecca.